ABICOR Innovation Award 2008 (3rd Place)
Dr.-Ing. Gerd Heinz (GfaI Berlin)
Dipl.-Ing. Frank Hofmann (IWF Berlin)
Dr. rer. nat. Heinz Schöpp (INP Greifswald)
Phys. Gregor Gött (INP Greifswald)
Real-time spectral regulator for pulse welding machines1
Valuable information is hidden in the spectrum of the plasma of pulse arcs. Energy introduction, metal vapour concentration or electrode temperature can be determined using the emissions from individual lines. If you want to use this information to stabilise the plasma when using mixed compositions like Al-Mg or St-Zn, you must use spectral analysis methods to penetrate the microsecond range. With the current pulse procedure, the modification of the plasma temperature is in the range of several million Kelvin per second.
This speed range is hardly accessible for spectrometric regulators at this time. The evaluation of many individual lines requires calculating time and the exact material consistency must be specified. The literature states that, for example, a spectrometric approach is known which can provide a temperature statement after twenty milliseconds. The individuality of each pulse, however, requires a much faster regulation method for pulse times of 0.5 to 5 milliseconds.
Working in parallel, the project partners were able to show that groups of lines of a particular spectral range (GFaI Berlin/TU Berlin) show similar emission time behaviour as the time functions of individual lines (INP Greifs- wald). From the dynamics of two line groups to each other (metal/inert gas) it is possible to estimate the energy introduction, the metal vapour concentration or the temperature by using their relative line group dynamics.
This created a very simple, differential regulation method which comes to a temperature statement within ten microseconds. This means that it is fast enough to regulate the energy entry for every pulse in real-time. Based on a differential principle, the procedure functions relatively independently of the soiling of the optic. For each material pair (wire/base material), a temperature setting is made via the plate efficiency of two spectral selective photodiodes.
The prototype of the spectral regulator requires approximately one hundred components. Two operation amplifiers and two spectral selective photodiodes form the core. The spectral regulator controls a pulse welding power source via an RS485 interface. It works in both quasi-continuous as well as in pulse mode. As of November 2007, a prototype has been running tests in the welding laboratory of the Berlin technical university and there it is controlling a welding machine.
# Someone pasted data records at this point
- - -
Record 1
# MoP4O12 (GGA+U, relaxed)
data_MoP4O12
_chemical_formula_sum 'Mo4 P16 O48'
_cell_length_a 8.353
_cell_length_b 9.496
_cell_length_c 13.143
_cell_angle_alpha 90.00
_cell_angle_beta 90.00
_cell_angle_gamma 90.00
_space_group_name_H-M_alt 'P 1'
_space_group_IT_number 1
_space_group_name_Hall 'P 1'
loop_
_atom_site_label
_atom_site_type_symbol
_atom_site_fract_x
_atom_site_fract_y
_atom_site_fract_z
O1 O 0.135 0.110 0.616
O2 O 0.136 0.966 0.317
O3 O 0.090 0.377 0.122
Mo1 Mo 0.646 0.250 0.000
O4 O 0.806 0.128 0.073
O5 O 0.135 0.390 0.384
O6 O 0.636 0.534 0.817
P1 P 0.037 0.517 0.349
O7 O 0.618 0.919 0.751
P2 P 0.819 0.004 0.147
O8 O 0.806 0.372 0.927
O9 O 0.694 0.872 0.573
O10 O 0.472 0.366 0.928
O11 O 0.382 0.419 0.751
O12 O 0.364 0.466 0.183
O13 O 0.472 0.134 0.072
O14 O 0.882 0.081 0.251
O15 O 0.364 0.034 0.817
O16 O 0.365 0.610 0.884
P3 P 0.963 0.483 0.651
O17 O 0.635 0.110 0.884
O18 O 0.118 0.581 0.251
O19 O 0.528 0.634 0.072
O20 O 0.306 0.372 0.573
O21 O 0.136 0.534 0.683
O22 O 0.635 0.390 0.116
P4 P 0.181 0.504 0.147
O23 O 0.864 0.034 0.683
P5 P 0.319 0.004 0.353
O24 O 0.090 0.123 0.878
O25 O 0.864 0.466 0.317
O26 O 0.636 0.966 0.183
P6 P 0.037 0.983 0.651
O27 O 0.618 0.581 0.249
O28 O 0.382 0.081 0.249
O29 O 0.194 0.872 0.927
P7 P 0.463 0.017 0.151
O30 O 0.910 0.623 0.878
P8 P 0.681 0.504 0.353
P9 P 0.463 0.483 0.849
O31 O 0.590 0.123 0.622
P10 P 0.319 0.496 0.647
O32 O 0.306 0.128 0.427
O33 O 0.972 0.366 0.572
O34 O 0.865 0.610 0.616
P11 P 0.537 0.983 0.849
O35 O 0.972 0.134 0.428
Mo2 Mo 0.854 0.750 0.500
Mo3 Mo 0.146 0.250 0.500
P12 P 0.537 0.517 0.151
O36 O 0.590 0.377 0.378
O37 O 0.694 0.628 0.427
P13 P 0.181 0.996 0.853
O38 O 0.410 0.877 0.378
O39 O 0.882 0.419 0.749
O40 O 0.028 0.866 0.572
O41 O 0.028 0.634 0.428
P14 P 0.681 0.996 0.647
P15 P 0.963 0.017 0.349
O42 O 0.410 0.623 0.622
O43 O 0.194 0.628 0.073
O44 O 0.865 0.890 0.384
Mo4 Mo 0.354 0.750 0.000
O45 O 0.528 0.866 0.928
O46 O 0.118 0.919 0.749
P16 P 0.819 0.496 0.853
O47 O 0.365 0.890 0.116
O48 O 0.910 0.877 0.122
# - distance to the lowest polymorph of the same formula (meV per atom) = 0
# - crystal system = orthorhombic
# - energy with MP2020 corrections (eV per atom) = -7.873
# - energy of formation from the pure elements (eV/atom) = -2.469
# - size of the total moment (μB/f.u.) = 2.0

Record 2
# Li3Co4SnO8 (GGA+U, relaxed)
data_Li3Co4SnO8
_chemical_formula_sum 'Li6 Co8 Sn2 O16'
_cell_length_a 6.048
_cell_length_b 6.033
_cell_length_c 10.556
_cell_angle_alpha 73.58
_cell_angle_beta 73.82
_cell_angle_gamma 60.32
_space_group_name_H-M_alt 'P 1'
_space_group_IT_number 1
_space_group_name_Hall 'P 1'
loop_
_atom_site_label
_atom_site_type_symbol
_atom_site_fract_x
_atom_site_fract_y
_atom_site_fract_z
O1 O 0.382 0.872 0.880
O2 O 0.622 0.137 0.118
Li1 Li 0.750 0.750 0.250
Li2 Li 0.494 0.995 0.009
O3 O 0.129 0.098 0.137
O4 O 0.909 0.871 0.861
Sn1 Sn 0.997 0.996 0.501
O5 O 0.130 0.091 0.632
Co1 Co 0.250 0.750 0.750
O6 O 0.866 0.379 0.879
O7 O 0.591 0.629 0.639
- - -
The use of the regulator makes it possible to increase the pulse current by up to 30% above standard values. Alongside the increased process stability, this also brings about an improvement in the magnetic constriction of droplet transfer.
The spectral regulator and regulation method have been patented at the request of the welding machine manufacturer represented on the project committee.
The total European sales volume for MIG/MAG/WIG units in 2002 came to 750 million euros, with a percentage proportion of approximately 5% this is expected to be over 50 million euros from the European market for spectrally regulated units in 2015.
Other works target a rapid product introduction, a better understanding of the regulated processes, the physics of line groups integrals of different material combinations, the investigation into mixed compositions and the suitability for thin materials. In future, the control parameters of the welding machine (pulse current, base current, control times) should also be reduced.
1Promoted by BMWi, Project 14607 BG (AiF/IGF) from 1.2.2006 to 31.12.2007, recipient:
GFal e.V. Berlin; Places of research: GFaI, INP Greifswald, TU-Berlin IWF